Know your Target Market Generation Marketing and Demographics
[Unrelated to this entry: records of molecules]
=====
C38H58F16O11S7 | ωB97M-V with the def2-TZVPD basis set

The value obtained for the HOMO energy is -8.620 eV. The multiplicity is 1. As for the total energy: -6695.09995 Eh. As for the frontier orbital gap: 7.4 eV. For the strongest force on any atom, the calculation gives 6.45 eV/Å. The calculation puts the LUMO energy at -1.18 eV.

Cartesian coordinates (Å):
1 C 8.90903 3.09698 2.13261
2 C 9.91337 1.91545 2.32142
3 C 9.39485 0.86888 3.35977
4 F 8.19565 0.29799 3.01966
5 F 10.36521 -0.06572 3.66149
6 F 10.12227 1.48057 1.04166
7 F 11.07539 2.44840 2.61462
8 O 7.56979 2.73619 1.62700
9 C 6.48857 3.67175 1.59608
10 C 5.51529 3.06686 0.63393
11 F 5.22486 1.67584 0.57162
12 F 4.45176 3.89728 0.52047
13 F 6.16213 3.65811 2.86899
14 F 7.02157 4.86710 1.22940
15 H 9.24727 3.93822 1.52763
16 H 8.83351 3.56043 3.11627
17 H 9.12969 1.36714 4.29226
18 H 6.10512 3.28472 -0.25643
19 C 3.80160 -6.11916 2.05729
20 C 4.78840 -7.30019 2.26918
21 C 6.23108 -6.82307 1.97376
22 F 6.72517 -5.72228 2.51274
23 F 7.16475 -7.73705 2.28590
24 F 4.87427 -7.57271 3.53600
25 F 4.34148 -8.44743 1.64982
26 O 2.45321 -6.50168 2.36163
27 C 1.38782 -5.51882 2.36330
28 C 0.03902 -6.18349 2.36585
29 F -0.31232 -6.73537 3.53410
30 F -1.13450 -5.61118 1.85035
31 F 1.67591 -4.59057 3.27671
32 F 1.50339 -4.88684 1.23547
33 H 3.93259 -5.64316 1.08550
34 H 4.18558 -5.23366 2.56379
35 H 6.40149 -6.71997 0.90211
36 H 0.09314 -7.05522 1.71373
37 C 0.56618 4.88922 4.32832
38 S 2.16812 4.73295 3.46741
39 O 2.42774 3.51467 2.58049
40 C 2.21371 6.31135 2.46276
41 H 0.43032 4.08377 5.05004
42 H -0.18761 4.67763 3.56994
43 H 0.23595 5.76013 4.89449
44 H 1.23362 6.58709 2.07354
45 H 2.92990 6.04621 1.68501
46 H 2.78720 7.00135 3.08170
47 C -7.60946 0.16451 -4.78000
48 S -6.15443 0.41708 -3.62153
49 O -5.91509 -0.95299 -2.91326
50 C -4.90412 0.47551 -4.95692
51 H -7.50978 0.85274 -5.61935
52 H -8.46011 0.46010 -4.16590
53 H -7.66670 -0.89337 -5.03635
54 H -3.91245 0.44397 -4.50558
55 H -5.12463 1.40242 -5.48638
56 H -4.95623 -0.30829 -5.71259
57 C -6.07580 -2.09260 0.94403
58 S -7.57899 -1.12099 1.27721
59 O -8.72346 -1.89824 0.60968
60 C -7.63065 -1.68199 3.08442
61 H -5.96105 -2.23852 -0.13005
62 H -6.11662 -3.05178 1.46019
63 H -5.10794 -1.71120 1.26943
64 H -7.97641 -2.70467 3.23499
65 H -8.46822 -1.29546 3.66508
66 H -6.69787 -1.76707 3.64190
67 C -4.07219 -3.07783 -4.32116
68 S -3.93546 -3.81860 -6.06331
69 O -5.15586 -3.30010 -6.83751
70 C -2.45978 -2.81676 -6.54612
71 H -4.33308 -2.04646 -4.55844
72 H -3.19091 -3.17064 -3.68646
73 H -4.88151 -3.44281 -3.68880
74 H -2.13628 -3.07411 -7.55470
75 H -1.58741 -2.97448 -5.91193
76 H -2.51508 -1.73182 -6.45704
77 C -5.68003 1.43786 0.33230
78 S -4.61856 2.79499 -0.25255
79 O -3.79653 3.29008 0.93958
80 C -3.45360 1.83951 -1.27945
81 H -4.91972 0.90307 0.90152
82 H -6.13566 0.73712 -0.36731
83 H -6.47716 1.69735 1.02898
84 H -3.19740 0.93510 -0.72762
85 H -2.54933 2.40594 -1.50208
86 H -4.05480 1.51970 -2.13055
87 C -1.04581 1.51159 -6.06282
=====
Some Advertising Jargon Target Market: a particular group of consumers at which a product or service is aimed. Demographics: statistical data relating to the population and particular groups within it. Generation Marketing: marketing towards all of the people born and living at about the same time
Get The Big Picture Smart marketers know there are many subsets of every group targeted; not every message will work on every person. Consumers no longer like to be singled out based on income, gender, ethnicity or education, one of the keys to keeping your marketing cutting-edge is customization, and personalization If you don't speak to their lifestyle, a customer will tune you out. There are five very distinct generations that a smart advertiser needs to be aware of:
Records of molecules, kept here for reference =
=====
The following is a DFT calculation (the ωB97M-V functional and the def2-TZVPD basis) of a gas-phase ion, C2H3BrN3O (charge +1).

CARTESIAN COORDINATES (ANGSTROEM)
Br  1.8354  2.4233  -1.4322
O  -2.1659  -0.2801  1.0094
N  -0.5827  1.1819  -0.0473
N  -0.9581  -0.0679  0.4282
N  1.2920  -0.5080  -0.5065
C  0.8012  0.9213  -0.6106
C  0.1037  -1.1273  0.2214
H  2.1866  -0.9515  -0.8356
H  -0.0091  -2.2534  0.5807
H  -2.5030  0.6617  1.1927

Atomic forces in eV per Å
Br -1.6 -2.5 1.3
O 0.5 1.7 -0.2
N 5.3 -3.5 -1.5
N 6.3 -2.5 -2.1
N -7.1 3.2 2.7
C -1.9 -0.6 0.9
C -0.8 2.3 -0.4
H -1.3 0.6 0.5
H 0.3 2.8 -0.9
H 0.4 -1.5 -0.2

Results
Strongest force on any atom, Eh/bohr: 0.16091
SMILES string: On1c[nH+]c(Br)n1
HOMO, eV: -14.37
Spin multiplicity: 1
Frontier orbital gap, hartree: 0.340
Calculated total energy, eV: -78669.9170
Net charge: +1

These are the natural (NBO) partial charges, in e, on atoms 1 to 8: number 1, Br, carries 0.25; number 2, O, carries -0.42; number 3, N, carries -0.22; number 4, N, carries 0.14; number 5, N, carries -0.55; number 6, C, carries 0.28; number 7, C, carries 0.18; number 8, H, carries 0.51


The following is a DFT calculation (the ωB97M-V functional and the def2-TZVPD basis) of a molecular structure, C46H40F15GeInNO2SSe4.

CARTESIAN COORDINATES (ANGSTROEM)
In  0.3188  0.1476  -0.2188
Se  -1.9973  -0.9110  -2.8647
Se  -0.3031  0.2857  -3.9139
Se  1.5092  -0.1296  -2.4876
Se  -2.2912  0.3891  -0.9679
Ge  3.8991  0.8958  1.6192
S  2.3641  -0.5552  1.3228
F  2.8170  2.2829  7.4887
F  1.2315  3.2395  5.4897
F  4.9824  0.7509  6.8781
F  6.5520  2.1592  2.4093
F  4.1449  1.0726  -1.3118
F  7.6703  -2.6380  0.1397
F  9.1124  1.3439  2.2044
F  4.5337  3.1206  -3.0448
F  5.5530  0.1573  4.3338
F  4.2244  4.1112  2.2915
F  1.8019  2.6499  2.9274
F  4.6412  6.1280  0.5832
F  5.1302  -1.8257  0.3205
F  9.6851  -1.0704  1.0701
F  4.7860  5.6631  -2.0896
O  0.3521  2.2591  0.3908
O  -0.2963  -1.8868  0.4648
N  -0.6822  0.3188  1.8670
C  -0.5265  -2.0117  1.6904
C  -2.2431  3.2657  3.4290
C  6.7992  0.9609  1.8411
C  5.7422  0.1912  1.3904
C  -0.8669  6.3956  0.8095
C  -1.3135  -3.7729  6.4845
C  -0.7980  -0.8276  2.5182
C  -4.5653  2.9585  4.3141
C  -0.2601  -4.6211  1.6096
C  -0.9219  4.6126  -0.9057
C  -1.6711  4.2366  2.5538
C  -0.2717  -1.5387  6.7559
C  -3.2137  3.6455  4.5486
C  0.8470  -5.3603  2.3792
C  4.4287  3.3539  -1.7336
C  4.4952  4.8801  0.1160
C  4.5684  4.6459  -1.2466
C  -0.5756  -3.3070  2.3347
C  -0.3810  4.9793  0.4841
C  7.3849  -1.4575  0.7047
C  1.1486  4.9967  0.4555
C  -1.5284  -5.4853  1.5851
C  -3.4527  5.1541  4.6301
C  0.2306  -4.4595  0.1668
C  -1.0354  1.5703  2.1820
C  4.2085  1.2300  5.8965
C  6.0702  -1.0202  0.8115
C  2.6244  2.1930  3.8808
C  4.4886  0.9467  4.5672
C  -0.4751  2.5744  1.2964
C  -2.7284  -1.7383  6.3291
C  -0.8913  -3.3443  3.6576
C  4.2601  3.8229  0.9826
C  8.1224  0.5669  1.7489
C  8.4139  -0.6614  1.1758
C  -1.1093  -2.2018  4.4921
C  -1.9384  1.9576  3.2102
=====
The 5 Generations Gen I or Gen Z the internet generation or iGeneration, they're the children of the youngest boomers. Because this generation is still very young, marketing and demographics theories are still developing. This generation is the only one to be born entirely in the internet era
The 5 Generations Continued Gen Y They are the children of boomers, ages nine to 27. They're 75 million strong and they have disposable income because of their parents' support. Growing up with computers means this generation is especially responsive to internet campaigns. They process information quickly and are especially brand loyal. Gen Yers like innovative marketing approaches and advertising that uses humor or is "outside the box."
The 5 Generations Continued Gen X 44 million Gen Xers born between 1965 and 1975 are entering their peak earning and buying years. They're tech-savvy and love to shop. They have a high value for education and knowledge. Unlike Gen Yers, brand prestige alone won't woo this generation--let them know why your product is a good value.
The 5 Generations Continued Boomers 76 million-strong group. On average boomers spend $400 billion more per year than any other generation. They're at many life stages: empty nesters or full nesters, boomer grandparents, single or married, etc. What they have in common is exceptional drive and the ability to evaluate advertising and determine its value to them. This generation has a Peter Pan complex--play up their youthfulness in marketing.
The 5 Generations Continued The Greatest Generation Born between 1909 and 1945, today's octogenarian has seen it all when it comes to advertising, resulting in a particularly savvy consumer segment. Having been born during, or lived through, the Great Depression, World War II and many economic recessions, they're keen on value and in general don't "shop for fun" as other generations tend to do. Seniors like to spend money on their grandchildren; they buy 25 percent of all toys sold in America. Today's senior is living longer than ever before, and they want products to help them stay active, learn and be independent. According to the U.S. Census Bureau, people over the age of 65 spend more than $7 billion per year online.